
发布时间:2014-11-24 09:58:51   来源:文档文库   

Unit 3 What's Your Favourite Food

Part A


一、Look and match.(看图连线。)

二、Look and write.(看图写单词。)

三、Read and write.(按要求写单词。)



3I am(缩写形式)__________




四、Read and choose.(选出每组中不同类的一项。)

(  )1Atomato  Bpotato  Cfood

(  )2Apork Bcabbage Cchicken

(  )3Aeggplant Bgreen beans Cmutton

(  )4Agrape Bhamburger Capple

(  )5Aonions Blunch Cbreakfast

五、Choose the best answer.(选择最佳答案。)

(  )1—What would you like for lunch?

—I ______ like some beef and green beans.

Alike Bhave Cwould

(  )2—What do you have for dinner today?

—I have some ______ and tofu.

Atomato Btomatoes Ctomatos

(  )3I'm hungry.I'd like some ______.

Aeggplants Beggplant Cpotato

(  )4Oh, the ______ is soft and white.

Between two parts of the article: materials data >
********
[1]
Density functional theory data (PBE) for Cr2CoRu after structural relaxation.

Lattice parameters (Å, degrees): 4.4261 4.4261 4.4261 131.40 131.40 71.18
Closest atoms and distances in Å follow each position.
Fractional coordinates of all 4 atoms:
Ru: 0.2500 0.7500 0.5000  8 Cr 2.56, 4 Co 2.58
Cr: 0.5000 0.5000 0.0000  4 Co 2.56, 4 Ru 2.56, 4 Cr 2.58
Cr: 0.0000 0.0000 0.0000  4 Ru 2.56, 4 Co 2.56, 4 Cr 2.58
Co: 0.7500 0.2500 0.5000  8 Cr 2.56, 4 Ru 2.58

Calculated values
The formation energy is 0.07 eV per atom. For the density of states at the Fermi level, the calculation gives 5.28 states/eV/f.u.

---

[2]
Density functional theory data (PBE) for BaFe2Ir after structural relaxation.

Lattice parameters (Å, degrees): 4.7682 4.7682 4.7682 60.00 60.00 60.00
Closest atoms and distances in Å follow each position.
Fractional coordinates of all 4 atoms:
Fe: 0.2500 0.2500 0.2500  4 Ba 2.92, 4 Fe 2.92
Fe: 0.0000 0.0000 0.0000  4 Ir 2.92, 4 Fe 2.92
Ba: 0.5000 0.5000 0.5000  4 Ir 2.92, 4 Fe 2.92
Ir: 0.7500 0.7500 0.7500  4 Ba 2.92, 4 Fe 2.92

Calculated values
The formation energy is 0.95 eV per atom. For the density of states at the Fermi level, the calculation gives 5.30 states/eV/f.u.

---

[3]
Density functional theory data (PBE) for MgGeRu3 after structural relaxation.

Lattice parameters (Å, degrees): 4.5455 4.5455 4.5455 90.00 90.00 90.00
Closest atoms and distances in Å follow each position.
Fractional coordinates of all 5 atoms:
Ru: 0.0000 0.5000 0.0000  2 Ge 2.27
Ru: 0.0000 0.0000 0.5000  2 Ge 2.27
Ru: 0.5000 0.0000 0.0000  2 Ge 2.27
Mg: 0.5000 0.5000 0.5000  12 Ru 3.21
Ge: 0.0000 0.0000 0.0000  6 Ru 2.27

Calculated values
The formation energy is 0.80 eV per atom. For the density of states at the Fermi level, the calculation gives 6.17 states/eV/f.u. The value obtained for the energy above the most stable polymorph in this dataset is 0 meV/atom.

---

[4]
Density functional theory data (PBE) for Ta2CoRh after structural relaxation.

Lattice parameters (Å, degrees): 4.9925 4.9925 4.9925 135.17 135.12 65.31
Closest atoms and distances in Å follow each position.
Fractional coordinates of all 4 atoms:
Ta: 0.0000 0.0000 0.0000  4 Co 2.69, 4 Rh 2.84, 4 Ta 2.84
Ta: 0.7499 0.2499 0.5000  4 Rh 2.69, 4 Co 2.83-2.84, 4 Ta 2.84
Rh: 0.2500 0.7500 0.5000  8 Ta 2.69-2.84, 4 Co 2.84
Co: 0.5001 0.5001 0.0000  8 Ta 2.69-2.84, 4 Rh 2.84

Calculated values
The formation energy is -0.19 eV per atom. For the density of states at the Fermi level, the calculation gives 3.24 states/eV/f.u.

---

[5]
Density functional theory data (PBE) for Dy3Er2Tm3 after structural relaxation.

Lattice parameters (Å, degrees): 5.4352 6.4542 15.7512 90.00 90.00 114.90
Closest atoms and distances in Å follow each position.
Fractional coordinates of all 16 atoms:
Dy: 0.6153 0.2307 0.4489  1 Dy 3.14, 3 Er 3.24-3.42, 1 Tm 3.44
Dy: 0.3847 0.7693 0.5511  1 Dy 3.14, 3 Er 3.24-3.42, 1 Tm 3.44
Dy: 0.6153 0.2307 0.0511  1 Dy 3.14, 3 Er 3.24-3.42, 1 Tm 3.44
********

Atofu Bgrape Ctomato

(  )5Amy is hungry.She ______ some potatoes.

Awould like Bwould like to Chave

(  )6We______potatoes, beef and rice for dinner.

Ahave Bhas Care

(  )7She would like tofu______green beans.

Aand Bbut Con

(  )8.把学校菜谱递给别人时,应该说: __________

AThis is our school menu.

BHere is our school menu.

CThat is the school menu.

(  )9.某件事听起来很不错,应该说: __________

AThat sounds good!

BThat listens good!

CThat looks good!

六、Rearrange the sentences.(连词组句。)

1like, fish, We, would, beef, and, some.


2tofu, fish, tomatoes, and, We, have, )(.


3would, like, What, you, dinner, for(?)


4our, is, Here, menu, school.


5good, That, sounds.


七、Fill in the blanks.(填空。)

1I like cabbage.

You like cabbage.

He likes cabbage.

2I __________ chicken.

You __________ chicken.

She __________ chicken.

3I __________ onions.

You __________ onions.

He __________ onions.

4I __________ fish.

We __________ fish.

They __________ fish.

八、Reading comprehension.(阅读对话,完成表格。)

Wu YifanHello! John and Mike!

John and MikeHello! Wu Yifan!

Wu YifanWhat's your favourite food?

JohnMy favourite food is tofu, because it's healthy.I don't like tomatoes.I think they are sour.

MikeI don't think so.I like tomatoes very much, because they are fresh.

Wu YifanWhat about you, Chen Jie?

Chen JieI think fish is tasty, but Bai Ling likes carrots very much.She thinks they are a little sweet.


一、1tomato 2eggplant 3tofu 4potato 5cabbage 6fish

二、1mutton 2eggplant 3tofu 4tomato 5potato 6fish 7green beans

三、1tomatoes  2 onions 3I'm  4grapes  5 has 6too

四、1C 2B 3C 4B 5A

五、C B B A A A A B A

六、1 We would like some fish and beef.2We have tofufish and tomatoes. 3What would you like for dinner?  4Here is our school menu.5That sounds good.


3don't likedon't likedoesn't like

4don't likedon't likedon't like



